
Change key format for better sharding performance

Closed this issue · 3 comments

Behind the scenes of a S3 bucket objects are sharded based on their keys when under load. Shards are created per-prefix and a top level prefix is the characters in the key up to the first delimiter ('/'). Each prefix has a rate limit that will kick in after a certain number of requests to a given prefix.

Our key format is ${path}/${key}, where ${key} is a base32 encoded multihash for blocks or a string for datastore keys. This means if you specify (an optional) path, S3 will try to put all of your data into one shard, killing performance. If you don't specify a path, S3 will treat all your keys as prefixless and put them in one shard also killing performance.

We can avoid this by dropping the path parameter, reversing the key (since the first few characters of a base32 encoded multihash are stable) and adding / characters at known locations to create random-ish prefixes (though maybe we only want to do this if we're given a key that can be parsed as a base32 encoded multihash?). Prefix length used to be the first 6-8 characters but TBH it's not clear to me what it is now.

### Unrelated to this article: calculated crystals
# LiDyIn2
Computed powder XRD pattern, Cu Kα, 1.54184 Å. Input: a crystal structure in the Materials Project, relaxed with GGA-PBE.

a = 7.268 Å, b = 7.268 Å, c = 7.268 Å
α = 90.00°, β = 90.00°, γ = 90.00°
Space group Fm-3m (No. 225)
Asymmetric unit:
Li 0.000 0.000 0.000
Dy 0.000 0.000 0.500
In 0.250 0.250 0.250

Main lines, in order of rising 2θ (2θ = 5–70°):
2theta	Rel. int.	(hkl)
21.2	35	1 1 1
24.5	4	2 0 0
34.9	100	2 2 0
41.2	19	3 1 1
50.2	18	4 0 0
55.1	8	3 3 1
62.6	36	4 2 2
66.9	6	5 1 1

----------

Theoretical PXRD pattern of SmYEr4S8 for Cu Kα X-rays, from a structure optimized by DFT (PBE).
Kinematic intensities with the Lorentz-polarization factor, no thermal factor.

Structure:
```
data_SmYEr4S8
_cell_length_a 8.0212
_cell_length_b 8.0212
_cell_length_c 19.7144
_cell_angle_alpha 90.00
_cell_angle_beta 90.00
_cell_angle_gamma 120.00
_symmetry_space_group_name_H-M 'R 3 m'
_symmetry_Int_Tables_number 160
_symmetry_space_group_name_Hall 'R 3 -2"'
loop_
_atom_site_label
_atom_site_type_symbol
_atom_site_fract_x
_atom_site_fract_y
_atom_site_fract_z
Sm1 Sm 0.0000 0.0000 0.0000
Y1 Y 0.0000 0.0000 0.6251
Er1 Er 0.0000 0.0000 0.2510
Er2 Er 0.0014 0.5007 0.1259
S1 S 0.0000 0.0000 0.3831
S2 S 0.0000 0.0000 0.8645
S3 S 0.0257 0.5128 0.3803
S4 S 0.1750 0.3500 0.2055
```

Principal peaks in the range 10° ≤ 2θ ≤ 90°, by angle:
2θ (°), I_rel
22.13, 302
26.03, 1000
31.51, 167
38.85, 118
41.26, 163
41.33, 277
45.11, 282
45.22, 282
62.88, 191
83.45, 138

This may help prevent the sort of service degradation 3box experienced recently while using this datastore.


cc: @oed - you've mentioned S3 sharding in the post-mortem linked to above - would this sort of change have helped prevent the service degradation you encountered?

oed commented

I will let @zachferland weigh in more here, but just our initial findings when looking at this is that if you use ´datastore-fs´, that is default in the nodejs runtime, the "sharding" flag will be enabled in ipfs-repo. This flag essentially takes the two last characters of the base32 multihash and uses them as folders. When we started using S3 as a backend using datastore-s3 this "sharding" flag got disabled. I think the problem could be solved fairly trivially by simply enabling the sharding flag when using datastore-s3 as well.

It sounds like this datastore needs to have sharding turned on by default, which will require a major release and some sort of update script.

Sharding is turned on by default for blocks in ipfs-repo but not for other stores and not in the browser.

In this datastore it's pretty essential and there's doesn't seem to be a good reason not to have sharding turned on.

I'm going to close this issue because the solution I've outlined above isn't the right one - we just need to wrap the datastore in a ShardingDatastore at the repo level.